November 6, 2006


*A warning for what follows - I am tired and grouchy - that is all*

I will refer you back to an earlier post I wrote back for Proper 23 when I thought I was preaching entitled let the seminarian preach. It seems as though the ever intrepid Satan has placed on my plate another set of readings that makes me question my call to preach the good news. Uggg.

Calculated crystals, kept here for reference =
********
(1)
A plane-wave DFT calculation with PBE was carried out for a relaxed ThGe crystal.

Unit cell a=4.3042 b=4.3042 c=4.3042 alpha=60.00 beta=60.00 gamma=60.00
With the nearest neighbours (Å) after each atom.
Sites, in units of the cell vectors:
Th (0.5000, 0.5000, 0.5000)  6 Ge 3.04
Ge (0.0000, 0.0000, 0.0000)  6 Th 3.04

Calculated values
- Total energy: -6.785 eV per atom

(2)
A plane-wave DFT calculation with PBE was carried out for a relaxed Ca3AsP crystal.

Unit cell a=5.4249 b=5.4249 c=5.4249 alpha=90.00 beta=90.00 gamma=90.00
With the nearest neighbours (Å) after each atom.
Sites, in units of the cell vectors:
Ca (0.0000, 0.5000, 0.5000)  2 As 2.71
Ca (0.5000, 0.0000, 0.5000)  2 As 2.71
Ca (0.5000, 0.5000, 0.0000)  2 As 2.71
As (0.5000, 0.5000, 0.5000)  6 Ca 2.71
P (0.0000, 0.0000, 0.0000)  12 Ca 3.84

Calculated values
- Energy above the most stable polymorph in this dataset: 223 meV/atom

(3)
A plane-wave DFT calculation with PBE was carried out for a relaxed Na4AlInSi2SO12 crystal.

Unit cell a=9.0431 b=9.0209 c=22.0089 alpha=89.78 beta=90.14 gamma=119.39
With the nearest neighbours (Å) after each atom.
Sites, in units of the cell vectors:
Na (0.6463, 0.9979, 0.2557)  6 O 2.47-2.69
Na (0.3569, 0.3688, 0.2418)  6 O 2.47-2.70
Na (0.9937, 0.6289, 0.2577)  5 O 2.41-2.59
Na (0.6243, 0.6306, 0.7329)  5 O 2.41-2.60
Na (0.9977, 0.3523, 0.7536)  4 O 2.41-2.57
Na (0.3814, 0.0139, 0.7531)  6 O 2.46-2.67
Na (0.3093, 0.3330, 0.5907)  4 O 2.36-2.60
Na (0.0407, 0.7143, 0.5742)  5 O 2.33-2.59
Na (0.6596, 0.9473, 0.5895)  6 O 2.47-2.57
Na (0.2874, 0.9683, 0.0744)  5 O 2.41-2.63
Na (0.6745, 0.6929, 0.0923)  4 O 2.34-2.61
Na (0.0498, 0.3397, 0.0906)  6 O 2.38-2.66
Na (0.9817, 0.6652, 0.9245)  4 O 2.36-2.59
Na (0.6945, 0.0421, 0.9037)  5 O 2.40-2.65
Na (0.3199, 0.2871, 0.9235)  6 O 2.39-2.67
Na (0.9598, 0.3031, 0.4069)  5 O 2.40-2.67
Na (0.3293, 0.0184, 0.4221)  7 O 2.50-2.79
Na (0.7055, 0.6742, 0.4251)  6 O 2.47-2.66
Na (0.9875, 0.9776, 0.4995)  5 O 2.41-2.61
Na (0.0218, 0.0126, 0.0012)  5 O 2.39-2.65
Na (0.6541, 0.3111, 0.8307)  5 O 2.36-2.63
Na (0.6796, 0.3411, 0.3354)  6 O 2.40-2.61
Na (0.3233, 0.6478, 0.1720)  6 O 2.37-2.63
Na (0.3492, 0.6773, 0.6633)  5 O 2.33-2.57
Al (0.9593, 0.9764, 0.3501)  4 O 1.77-1.92
Al (0.0002, 0.9984, 0.6452)  5 O 1.85-2.01
Al (0.6373, 0.3139, 0.6819)  4 O 1.76-1.89
Al (0.6875, 0.3677, 0.1894)  4 O 1.76-1.96
Al (0.6648, 0.3326, 0.4819)  5 O 1.85-2.07
Al (0.3283, 0.6690, 0.3194)  6 O 1.85-2.04
In (0.0120, 0.0194, 0.8455)  5 O 2.05-2.26
In (0.9970, 0.0021, 0.1569)  6 O 2.09-2.27
In (0.6671, 0.3359, 0.9844)  6 O 2.06-2.27
In (0.3195, 0.6544, 0.0209)  5 O 2.05-2.28
In (0.3476, 0.6867, 0.5156)  5 O 2.06-2.27
In (0.3323, 0.6658, 0.8108)  6 O 2.07-2.30
Si (0.6865, 0.6976, 0.2531)  4 O 1.63-1.66
Si (0.0011, 0.3014, 0.2535)  4 O 1.64-1.68
Si (0.2988, 0.2924, 0.7434)  4 O 1.64-1.66
Si (0.7109, 0.0103, 0.7414)  4 O 1.64-1.66
Si (0.3707, 0.0478, 0.5819)  4 O 1.62-1.68
Si (0.6752, 0.6180, 0.5828)  4 O 1.63-1.67
********
So much for the calculated crystals =

Nevertheless I shall persevere. God will supply all my needs. Somehow a sermon consisting of both trouble and grace will come forth. But today I am struck by just how tongue-in-cheek the Collect for Proper 28B sounds in light of apocalyptic suffering in all 3 readings.

Bblessed Lord, who caused all holy Scriptures to be written for our learning: Grant us so to hear them, read, mark, learn, and inwardly digest them, that we may embrace and ever hold fast the blessed hope of everlasting life, which you have given us in our Savior Jesus Christ; who lives and reigns with you and the Holy Spirit, one God, for ever and ever. Amen.

I mean really. Blessed Lord, who caused all holy Scriptures to be written for our learning. It just makes me giggle. I am genuinely surprised that these texts actually appear in the lectionary. It is so desirous to ignore the hard words of Scripture that it seems as though we ignore them continually. But alas, not this Sunday. Not when I have to preach short sermon because of the Annual Meeting. Nope, today we get to feel with great discomfort what it means to say that all holy Scriptures have been written for our learning.

Again, let the seminarian preach.


Eliz F said...

Steve, I guess we balance each other, because I am preaching this weekend on the widow and her copper coins and have not yet started because it's such a familiar story and I wonder HOW to make it come alive for people, and would FAR rather be preaching on your troubling and bizarre texts.

Maybe you will have to retitle your blog while you write your sermon because if you have so much lectionary-induced angst, then you can't really be bored, can you? ;-)

If these texts throw you, I guess you hope I will be foiled in my quest to reform the lectionary so we get even darker stuff...

spankey said...

The following is a DFT calculation (PBE-GGA) of crystalline NaH8O5 at its relaxed geometry.

E_form = -1.31 eV per atom
Crystal system = monoclinic
E (MP2020) = -0.3754 Ry/atom

a = 7.910 Å, b = 7.910 Å, c = 11.561 Å
α = 115.46°, β = 115.46°, γ = 48.73°
Atoms (fractional coordinates):
Na 0.194 0.204 0.432
Na 0.204 0.194 0.932
Na 0.796 0.806 0.068
Na 0.806 0.796 0.568
H 0.040 0.086 0.672
H 0.086 0.040 0.172
H 0.093 0.382 0.684
H 0.116 0.762 0.495
H 0.156 0.597 0.930
H 0.179 0.655 0.287
H 0.238 0.884 0.005
H 0.263 0.444 0.704
H 0.286 0.680 0.631
H 0.295 0.541 0.071
H 0.320 0.714 0.869
H 0.345 0.821 0.213
H 0.382 0.093 0.184
H 0.403 0.844 0.570
H 0.444 0.263 0.204
H 0.459 0.705 0.429
H 0.541 0.295 0.571
H 0.556 0.737 0.796
H 0.597 0.156 0.430
H 0.618 0.907 0.816
H 0.655 0.179 0.787
H 0.680 0.286 0.131
H 0.705 0.459 0.929
H 0.714 0.320 0.369
H 0.737 0.556 0.296
H 0.762 0.116 0.995
H 0.821 0.345 0.713
H 0.844 0.403 0.070
H 0.884 0.238 0.505
H 0.907 0.618 0.316
H 0.914 0.960 0.828
H 0.960 0.914 0.328
O 0.011 0.751 0.289
O 0.123 0.803 0.589
O 0.125 0.446 0.646
O 0.166 0.543 0.995
O 0.197 0.877 0.911
O 0.249 0.989 0.211
O 0.446 0.125 0.146
O 0.457 0.834 0.505
O 0.461 0.499 0.299
O 0.499 0.461 0.799
O 0.501 0.539 0.201
O 0.539 0.501 0.701
O 0.543 0.166 0.495
O 0.554 0.875 0.854
O 0.751 0.011 0.789
O 0.803 0.123 0.089
O 0.834 0.457 0.005
O 0.875 0.554 0.354
O 0.877 0.197 0.411
O 0.989 0.249 0.711


NdBPd3: optimized geometry, GGA-PBE.

Cell: 4.383 4.383 4.383 Å, 90.00 90.00 90.00°
Space group Pm-3m (No. 221)
One atom of each set of equivalent atoms:
Nd1 0.000 0.000 0.000 (multiplicity 1)
B1 0.500 0.500 0.500 (multiplicity 1)
Pd1 0.000 0.500 0.500 (multiplicity 3)

Spin magnetization (μB/cell): 0.0
E_tot (Ry per atom): -0.4377
DFT formation energy (meV/atom): -558


[1]
The following is a DFT calculation (PBE+U) of crystalline Li6V3P8O29 at its relaxed geometry.

Polymorph energy (0 for the lowest one): 5 meV/atom
Symmetry: P1 (1)

Cell lengths 9.777, 9.789, 14.016 Å; angles 89.40, 89.83, 60.44 degrees
Sites, in units of the cell vectors:
Li 0.000 0.000 0.000
Li 0.001 0.416 0.454
Li 0.332 0.193 0.126
Li 0.333 0.763 0.676
Li 0.423 0.433 0.000
Li 0.567 0.862 0.006
Li 0.570 0.422 0.499
Li 0.604 0.139 0.568
Li 0.678 0.141 0.072
Li 0.753 0.775 0.627
Li 0.899 0.766 0.126
Li 0.984 0.862 0.506
V 0.099 0.101 0.808
V 0.104 0.658 0.315
V 0.227 0.529 0.813
V 0.230 0.092 0.315
V 0.661 0.659 0.818
V 0.667 0.528 0.312
P 0.324 0.765 0.934
P 0.336 0.757 0.435
P 0.352 0.179 0.909
P 0.352 0.314 0.402
P 0.437 0.409 0.219
P 0.446 0.008 0.724
P 0.570 0.413 0.716
P 0.578 0.869 0.225
P 0.747 0.314 0.900
P 0.757 0.778 0.410
P 0.884 0.180 0.403
P 0.892 0.780 0.907
P 0.974 0.012 0.218
P 0.981 0.871 0.723
P 0.993 0.436 0.693
P 0.997 0.433 0.194
O 0.002 0.843 0.227
O 0.003 0.015 0.723
O 0.034 0.195 0.393
O 0.045 0.624 0.897
O 0.129 0.016 0.234
O 0.139 0.437 0.739
O 0.147 0.723 0.736
O 0.151 0.285 0.232
O 0.175 0.910 0.890
O 0.184 0.756 0.397
O 0.189 0.465 0.394
O 0.196 0.180 0.894

What if we work out some sort of compromise. You can reform the lectionary as dark as you like, so long as there's one "cheap grace" reading a week. That way, when I'm up to it, I can preach the dark stuff, but when I'm "tired and grouchy" I can lay back and rely on "cheap grace" to get me through.


Eliz F said...

Hmmmm...I will consider your proposal.

You inspired me to ask my supervisor if we could swap preaching dates so I could have some Daniel action...and she said yes! Yippee! I am sure the widow will receive much better treatment at her hand, and now I get to immerse myself in difficulty...(I bet next week I will be cursing myself, and possibly you, since I was jealous of you for having cooler readings...)